As I have for many years, I am encoring my suggestions for an alternative to St. Patrick’s Day. However, today, I have an important announcement to make, based on new perspective and information that has come to my attention.
Just the same, though, instead of the saint, I will be honoring my ancestors from the Green Isle and the Old Ones on this day.
May your blessings outnumber the shamrocks that grow,
And may trouble avoid you wherever you go.
Today may be considered Trefuilnid Treochair (Truh-FWEEL-nid Tray-oh-CARE) in the Celtic traditions. It means, “the Triple Bearer of the Triple Key.” (Spelling may vary). For simplicity, let’s just say Happy Teutates Day!
Teutates (Too-TAH-tace) has been called the God of the shamrock, and is a consort of the Goddess. Also spelled Toutates, His name means “God of the people.” His name seems synonymous with that given to a number of tribal protector Gods, as well.
A trident-bearing God of Ireland, He is one of the most ancient of Ireland’s pre-Christian Gods, and rules over war, fertility, and wealth. His key unlocks the past, the future, and the present.
Connected with The Green Man, the Green God, and Lugh, Teutates was also interpreted by Caesar and Roman historians as being similar to both Mercury and Mars.
In the first century C.E. the poet Lucan mentions Him. But some later Roman historians depict Him as rather blood-thirsty, demanding human sacrifice.
I am no expert, but I find this questionable, as Roman P.R. about their enemies is notoriously biased, and contradicts both the etymology of His name referencing Him as protector of the tribe, as well as the ancient Gaulish view of Him as a God of healing.
In Ireland, the St. Patrick’s feast day was once a strictly sober holy day, particularly since it usually falls during Lent. Certainly, no pubs were open and everyone went to church, then ate a traditional meal of colcannon and Irish soda bread.
This has changed of course, and Dublin now hosts a three-day festival with parades, floats and celebrations. And of course, following the American traditions (not the other way round!), it has become a day for wearing green, copious drinking, and revelry.
By any name, this day is considered a premier national pride day of Éire (Ireland), the Irish diaspora, and all things Irish.
The Snakes of Ireland
You have certainly heard the story that Patrick drove all the snakes out of Ireland. But in fact, there have never been any snakes in the wild in Ireland, at least since the last Ice Age, thanks to the isolation of the island. The same is true for New Zealand, Iceland, Greenland, and Antarctica.
It is true that in the Judeo-Christian mythos, snakes represent the being who tempted the first woman, and brought about the fall of humanity. Thus, it is hard-wired in that creation story that snakes (and, by association, women) are wicked, and tend to be in league with evil.
And it is also true, in non-Abrahamic faiths (including most Pagan traditions), snakes are almost universally honored as creatures, not of evil, but of wisdom, the renewal of life, and miraculous regeneration as they shed their skins.
So there is this story about the snakes being symbolic of Patrick’s orchestrating the ascendancy of Christianity over the old Pagan and/or Druid order.
Except it’s just not the case.
My Retraction
I have learned that the use of the snakes as symbolic of Paganism is a rather recent construct. There was no big battle between Patrick and the Druids. Patrick was only one of many priests who preached the new religion in Ireland. Paganism thrived for many generations in Ireland after the death of Patrick.
/*
This record from the Open Molecules 2025 dataset describes a structure of composition C44H57Br27FNO2 at a distorted geometry. The level of theory is wB97M-V/def2-TZVPD.

Atoms and positions in Å:
C  13.76  -2.32  1.02
C  13.00  -1.09  0.18
C  11.47  -0.79  0.73
C  10.88  0.62  0.10
C  10.27  0.32  -1.43
C  8.78  -0.36  -1.20
C  7.58  0.73  -1.52
C  7.78  2.18  -0.72
C  6.61  3.25  -1.13
C  5.61  3.67  0.13
C  4.02  3.50  -0.27
C  3.01  4.45  0.66
C  1.43  3.91  0.61
C  0.34  5.09  0.97
C  -1.07  4.49  1.59
C  -2.42  5.11  0.82
C  -3.29  3.78  0.35
C  -3.57  3.33  -1.20
C  -4.41  1.95  -1.64
C  -4.66  1.54  -3.21
C  -3.40  1.82  -4.21
N  -2.88  3.04  -4.56
C  -4.96  1.03  -0.39
C  -4.73  1.51  1.19
C  -3.91  2.87  1.61
C  -5.33  0.60  2.46
O  -4.80  0.57  3.68
C  -6.72  -0.25  2.08
C  -7.89  -0.59  3.22
C  -9.27  -1.44  2.85
C  -9.46  -1.97  1.31
C  -8.32  -1.63  0.18
C  -8.61  -2.23  -1.35
C  -7.87  -3.73  -1.36
C  -8.95  -4.97  -1.53
F  -8.30  -6.20  -0.98
C  -6.96  -0.77  0.53
C  -5.78  -0.40  -0.57
O  -5.53  -1.32  -1.51
H  14.29  -1.89  1.99
H  12.95  -3.11  1.32
H  14.62  -2.76  0.34
H  12.89  -1.40  -0.96
H  13.64  -0.09  0.20
H  11.54  -0.77  1.91
H  10.82  -1.73  0.42
H  11.73  1.44  0.01
H  9.99  1.00  0.78
H  11.02  -0.37  -2.01
H  10.19  1.32  -2.07
H  8.72  -1.28  -1.94
H  8.68  -0.82  -0.11
H  6.54  0.30  -1.13
H  7.45  0.88  -2.68
H  7.86  1.95  0.43
H  8.82  2.67  -1.03
H  6.00  2.75  -2.02
H  7.14  4.19  -1.59
H  5.88  4.79  0.44
H  5.93  2.99  1.03
H  3.76  2.34  -0.14
H  3.94  3.79  -1.42
H  3.39  4.41  1.78
H  3.09  5.56  0.24
H  1.34  2.96  1.31
H  1.23  3.55  -0.49
H  0.14  5.80  0.06
H  0.81  5.76  1.83
H  -1.03  3.32  1.40
H  -1.10  4.65  2.75
H  -3.05  5.77  1.60
H  -2.13  5.82  -0.06
H  -3.12  4.04  -2.05
H  -5.55  2.23  -3.59
H  -5.02  0.43  -3.37
H  -2.91  0.86  -4.74
H  -2.09  2.95  -5.24
H  -3.73  3.17  2.73
H  -7.80  -0.22  4.34
H  -10.10  -1.68  3.67
H  -10.43  -2.58  1.03
H  -8.10  -1.56  -2.17
H  -9.76  -2.38  -1.55
H  -7.28  -3.91  -0.33
H  -7.08  -3.83  -2.21
H  -9.12  -5.09  -2.71
H  -9.95  -4.81  -0.95
C  17.53  -1.39  1.16
Br  16.52  -0.07  0.14
Br  19.41  -1.39  0.69
Br  17.26  -1.19  3.08
H  17.13  -2.37  0.88
C  -8.17  -5.30  4.66
Br  -9.63  -6.53  5.02
Br  -6.94  -6.00  3.33
Br  -8.81  -3.52  4.19
H  -7.60  -5.20  5.59
C  8.59  -3.10  -4.65
Br  8.73  -1.52  -5.78
Br  9.96  -3.13  -3.28
Br  6.81  -3.31  -3.91
H  8.77  -3.97  -5.30
C  -12.22  -5.95  -4.36
Br  -12.79  -4.53  -3.16
Br  -10.56  -5.50  -5.27
Br  -12.09  -7.66  -3.44
H  -12.99  -6.05  -5.13
C  6.29  8.17  -1.31
Br  5.26  7.06  -2.53
Br  5.76  7.90  0.54
Br  8.20  7.94  -1.56
H  6.06  9.21  -1.56
C  -11.67  -2.23  7.51
Br  -11.80  -1.52  5.70
Br  -13.34  -3.05  8.09
Br  -10.16  -3.45  7.70
H  -11.48  -1.38  8.18
C  -2.81  -2.61  0.83
Br  -1.68  -1.84  2.21
Br  -3.87  -1.25  -0.07
Br  -1.80  -3.69  -0.43
H  -3.52  -3.28  1.33
C  0.29  0.45  -3.67
Br  -1.30  1.55  -3.84
Br  1.80  1.47  -2.97
Br  -0.04  -1.15  -2.62
H  0.57  0.12  -4.67
*/
Founder and former editor of The Wild Hunt, Jason Pitzl-Waters, debunks this notion, despite its popularity:
There was no Irish Pagan genocide, no proof of any great violent Druid purge in Ireland, it simply doesn’t exist outside hagiography. By the time hagiographers started speaking of snakes and Druids, Irish Paganism was already a remnant, and Irish Christianity the dominant religious force on the island.
They were more worried about establishing heroic Irish saints than eradicating traces of Paganism.
Pitzl-Waters quotes, among many others, P. Sufenas Virius Lupus, a Celtic Reconstructionist Pagan and scholar with extensive knowledge of Irish myth and folklore:
… The hagiographies of St. Patrick did not include this particular “miracle” until quite late, relatively speaking (his earliest hagiographies are from the 7th century, whereas this incident doesn’t turn up in any of them until the 11th century).
St. Patrick’s reputation as the one who Christianized Ireland is seriously over-rated and overstated, as there were others that came before him (and after him), and the process seemed to be well on its way at least a century before the “traditional” date given as his arrival, 432 CE, because Irish colonists (yes, you read that right!) in southern Wales, Cornwall, and elsewhere in Roman and sub-Roman Britain had already come into contact with Christians and carried the religion back with them when visiting home.
So I am hereby retracting my several years of compounding this divisive and ultimately false meme. And I hope you will join me in correcting this widespread misinformation.
As Pitzl-Waters concludes, ““To erase St. Patrick’s Day also erases a vital connection to Irish history and culture.” So no, I don’t suggest we erase it. But I like the idea of the Tribal Protector, so I won’t be celebrating St. Patrick, either.
Regarding Leprechauns
As for Leprechauns, we all know what they look like, right? A little man, we are told, usually having a beard, dressed in bright green. Often he is seen with a pipe and is never too far away from his pot of gold. We find the Leprechaun’s gold if we follow the rainbow to its end, or somehow trick one into giving it to us.
Wrong. That is the Leprechaun of the popular imagination, a commercialized view developed mostly during the 20th century.
In the United States, the Leprechaun has become little more than a cartoonish figure, a somewhat silly caricature that instantly brings up romanticized thoughts of the Irish or sugary breakfast cereals. However, in Irish mythology, the Leprechaun is a class of Faery folk, who are beings of many shapes, sizes, and dispositions and have existed in Ireland since before the coming of the Celts.
The Leprechauns are usually wizened old men (there is no history of female Leprechauns) standing about three feet tall. They are the shoemakers of the Shining Folk, and are quite often seen with a shoe in one hand and wearing a leather apron.
Although today Leprechauns are depicted as dwarfish little men in emerald green suits, this is not the case in traditional Leprechaun literature. Until the 20th century the Leprechaun was almost universally described as wearing red, particularly a red cap, rather than green. And while they were always described as diminutive, they were normally proportioned.
The most famous aspect of Leprechaun mythology is their hidden treasure. This is thought to be from the days when the invasion of the Danes and others obliged the folk of Éire to hide their gold. Some, of course, never returned for it, and so the Leprechauns have helped themselves.
Whatever your heritage, let’s make this a day to uphold the light of Lady Liberty for all peace-loving immigrants seeking a better life in our country.
For as happy as everyone is on this day to be a little bit Irish, that, too, is a recent development. It was not very long ago that Irish immigrants were as gruesomely hated and cruelly discriminated against as those from other lands are today.
Proud to be a descendant of the ancient and legendary Uí Neill family, I celebrate this as a time to honor the beautiful land, history, and people of Ireland. It would also be an appropriate day to break bread and share a friendly drink with all of your own Ancestors.
And while they are no longer “snakes” in my view, here’s to the Pagans!
Wishing you and yours Sláinte and Happy Teutates Day!
Wherever you go and whatever you do, May the luck of the Irish be there with you.